Jeng and Vikali had been traveling together for a few days now. Ever since leaving Talfrid some days back, the two had remained in company with each other. Talfrid had to return to his pride, as he felt he had been too long away from them, and had a growing sense of foreboding as he thought of them. His duty to his home and his followers forced him to leave, though it was clear he was having a nice time with them. Jeng wondered about that sense of duty, and if she would ever feel that way about something, but she could not easily imagine it.

So, for now, she was sticking with Vikali. It was a little surprising that the God of Durability wanted to hang out with her, as she thought he had only been being polite in the company of the three of them. Once the chance to leave popped up, as it had with Talfrid breaking company with them, she thought he would have gone too. Instead, he asked her if she wanted to walk with him back to his pride instead, and she was happy to accompany him as long as he wanted to keep her with him.

It was nice. The weather was getting cooler, the further north they went, and she could feel the hills growing steeper as the green grass gave way to dying browns and sparse, leafless trees. It was difficult for things to grow up here, she noted, but soon none of that was visible, anyway, as white snow coated the ground and clung to everything in fine sheets. It was almost a shame to step on it, and ruin the smooth, perfect texture to it.

She had never really been around snow much. Yes, she had flown over it, and heard about it in stories, but it was not something she had cause to visit directly before. She was glad to be able to experience it now, putting her paws into the snow and feeling the wet, cold way it folded around her ankles. It moved as she shifted, but seemed to cling to her as well, making it difficult to walk through. Vikali had no problem with it, and walked on top of the snow instead of sinking into it like she did. She frowned at him, but decided he was not just showing off, and was actually just made to walk on the snow like that.

“Are we getting closer to your home?”

“Not yet. We are fairly low on the mountain. The snow is thick down here, surprisingly so. There must be a storm moving higher up. We can fly over it, if you want. It would be faster, and considerable less work.”

“No, I want to walk! It’s more interesting this way, and I get to take in the way everything looks. I’m really interested in it.” She smiled at him, and he nodded his head patiently at her. She was very energetic, and certainly did not seem scared of a challenge. He moved with her, walking slightly behind her so he could keep an eye on her progress. If she did need help through the snow, he would be there for her.

“Alright, we can keep going, but I have a feeling the weather is going to turn, the higher we go. It is the season for surprise storms.” He did not think it was much of a surprise, if he could predict it, but he had been around snow all his life. It was like he could almost feel it, when the snow was coming, and when it would be away for a while, though it was certainly not one of his powers as a God. Just the result of his snowy upbringing, he supposed.

Jeng quickly got caught up in the activity of climbing through the snow. She ran when it was thin enough, and she laughed as she got caught in big flurries of the softest, freshest snow. Vikali shook his head as he followed her, but her delight was refreshing. It was clear she had not been lying when she said she had very little experience with the snow. Not that he had any reason to think she would be lying, he supposed, but he was skeptical of everyone he met. Until proven otherwise, and that was a very difficult thing to do.

Jeng, somehow, had managed to win him over a bit.

“Oh, look, the snow is falling now,” Jeng said, looking up at the sky as the snow began to fall heavy enough to draw her attention. It had been lightly falling for a while now, but she had been having so much fun she missed it. Now there seemed to be a sheet falling down around them constantly. It was getting heavier the longer she stood there looking at it, and soon she had a coat of snow over her.

She shook it off, but it quickly started to collect again.

Unrelated to this article: records of crystals:
~~~
[1]
The following is a calculated powder X-ray diffraction pattern of Li3Bi2Pd8. It was derived from the PBE geometry in Alexandria, using Cu Kα X-rays.
Kinematic intensities with the Lorentz-polarization factor, no thermal factor.

Peak list (10 most intense, 2θ from 10° to 90°, by angle)
- 2θ 19.6, I 33
- 2θ 20.0, I 27
- 2θ 28.1, I 26
- 2θ 30.3, I 24
- 2θ 36.6, I 51
- 2θ 39.8, I 50
- 2θ 40.2, I 100
- 2θ 40.9, I 48
- 2θ 46.6, I 40
- 2θ 72.5, I 20

a b c (Å): 7.186 7.186 4.548
angles (deg): 99.69 99.69 78.25
Element x y z (fractional)
Li (0.000, 0.000, 0.000)
Li (0.240, 0.760, 0.500)
Li (0.760, 0.240, 0.500)
Bi (0.292, 0.292, 0.160)
Bi (0.708, 0.708, 0.840)
Pd (0.102, 0.639, 0.941)
Pd (0.136, 0.136, 0.578)
Pd (0.361, 0.898, 0.059)
Pd (0.430, 0.430, 0.717)
Pd (0.570, 0.570, 0.283)
Pd (0.639, 0.102, 0.941)
Pd (0.864, 0.864, 0.422)
Pd (0.898, 0.361, 0.059)



[2]
The following is a calculated powder X-ray diffraction pattern of Ce2AlZnAu6. It was derived from the PBE geometry in Alexandria, using Cu Kα X-rays.
Kinematic intensities with the Lorentz-polarization factor, no thermal factor.

Peak list (10 most intense, 2θ from 10° to 90°, by angle)
- 2θ 20.1, I 39
- 2θ 27.4, I 29
- 2θ 27.8, I 75
- 2θ 28.5, I 38
- 2θ 38.0, I 100
- 2θ 38.4, I 59
- 2θ 39.5, I 76
- 2θ 40.3, I 25
- 2θ 43.1, I 21
- 2θ 53.0, I 21

a b c (Å): 6.856 6.856 8.849
angles (deg): 128.88 128.88 47.62
Element x y z (fractional)
Ce (0.244, 0.244, 0.217)
Ce (0.756, 0.756, 0.783)
Al (0.000, 0.000, 0.500)
Zn (0.500, 0.500, 0.000)
Au (0.226, 0.725, 0.231)
Au (0.251, 0.251, 0.603)
Au (0.275, 0.774, 0.769)
Au (0.725, 0.226, 0.231)
Au (0.749, 0.749, 0.397)
Au (0.774, 0.275, 0.769)



[3]
The following is a calculated powder X-ray diffraction pattern of Ho8ErSc6. It was derived from the PBE geometry in Alexandria, using Cu Kα X-rays.
Kinematic intensities with the Lorentz-polarization factor, no thermal factor.

Peak list (10 most intense, 2θ from 10° to 90°, by angle)
- 2θ 14.0, I 23
- 2θ 18.0, I 24
- 2θ 24.2, I 67
- 2θ 26.8, I 52
- 2θ 33.5, I 53
- 2θ 34.5, I 100
- 2θ 34.6, I 92
- 2θ 49.7, I 21
- 2θ 53.2, I 26
- 2θ 61.8, I 25

a b c (Å): 9.007 9.007 6.340
angles (deg): 90.00 90.00 120.00
Element x y z (fractional)
Ho (0.038, 0.347, 0.391)
Ho (0.309, 0.962, 0.391)
Ho (0.333, 0.667, 0.719)
Ho (0.347, 0.309, 0.609)
Ho (0.653, 0.691, 0.391)
Ho (0.667, 0.333, 0.281)
Ho (0.691, 0.038, 0.609)
Ho (0.962, 0.653, 0.609)
Er (0.000, 0.000, 0.000)
Sc (0.070, 0.671, 0.096)
Sc (0.329, 0.398, 0.096)
Sc (0.398, 0.070, 0.904)
Sc (0.602, 0.930, 0.096)
Sc (0.671, 0.602, 0.904)
Sc (0.930, 0.329, 0.904)
~~~

“Maybe we should find some place to hide, until the snow passes. The storms can be pretty severe in these parts, and I would hate for you to get a bad impression of the snow. It is rather nice here, despite the storms.” He smiled at her, and she was shocked to see it. He knew how to smile? That was incredible! All these days they had been hanging out, and she had never seen him smile. The look she was giving him seemed to make him realize what was happening, though, and his smile faded quickly.

She sighed, but she would not let him live down that she had seen it.

“Alright, let’s fine some place to take some shelter in. You must know this area pretty well, right? Where is there a cave around here?”

“Actually. There is one just in front of you.” He moved passed her, letting her follow after him sheepishly. He was still walking effortlessly on the snow, while she trudged along. She was very happy to be inside the cave, where the snow could not reach her. Now if only she could figure out a way to get him to smile again.

Word Count: 1,033 in Word